# Request
Print only the last part of the contents underneath, starting with the line that has "and copper", please.
# Data
'''
Diffraction record for KSrSmWO6. The powder diffraction line list is computed, not measured: it uses a GGA+U-relaxed structure and copper Kα.
Lines closer than 0.1° are merged.

Largest 10 diffraction maxima, sorted by position, 2θ from 15° to 90°:
| two_theta | I/Imax |
| --- | --- |
| 20.91 | 36 |
| 29.75 | 100 |
| 42.57 | 31 |
| 47.89 | 16 |
| 52.80 | 40 |
| 61.78 | 19 |
| 65.98 | 8 |
| 70.06 | 18 |
| 77.92 | 6 |
| 85.55 | 22 |

Cell and atoms:
Lattice parameters (Å, degrees): 6.0067 6.0067 6.0067 60.00 60.00 60.00
Element x y z (fractional)
K 0.0000 0.0000 0.0000
Sr 0.5000 0.5000 0.5000
Sm 0.2500 0.2500 0.2500
W 0.7500 0.7500 0.7500
O 0.5200 0.5200 0.9800
O 0.5200 0.9800 0.5200
O 0.5200 0.9800 0.9800
O 0.9800 0.5200 0.5200
O 0.9800 0.5200 0.9800
O 0.9800 0.9800 0.5200
'''
# Reply
Diffraction record for KSrSmWO6. The powder diffraction line list is computed, not measured: it uses a GGA+U-relaxed structure and copper Kα.
Lines closer than 0.1° are merged.

Largest 10 diffraction maxima, sorted by position, 2θ from 15° to 90°:
| two_theta | I/Imax |
| --- | --- |
| 20.91 | 36 |
| 29.75 | 100 |
| 42.57 | 31 |
| 47.89 | 16 |
| 52.80 | 40 |
| 61.78 | 19 |
| 65.98 | 8 |
| 70.06 | 18 |
| 77.92 | 6 |
| 85.55 | 22 |

Cell and atoms:
Lattice parameters (Å, degrees): 6.0067 6.0067 6.0067 60.00 60.00 60.00
Element x y z (fractional)
K 0.0000 0.0000 0.0000
Sr 0.5000 0.5000 0.5000
Sm 0.2500 0.2500 0.2500
W 0.7500 0.7500 0.7500
O 0.5200 0.5200 0.9800
O 0.5200 0.9800 0.5200
O 0.5200 0.9800 0.9800
O 0.9800 0.5200 0.5200
O 0.9800 0.5200 0.9800
O 0.9800 0.9800 0.5200